Given
~~~
No. 1
13
Properties=species:S:1:pos:R:3 method="wB97M-V/def2-TZVPD" de_lowest_kj_mol=390.91 e_lumo_ha="0.0323 / 0.0323" homo_lumo_gap_ev="6.958 / 6.960" charge=0 homo_energy_ev="-6.1 / -6.1"
C -1.9676 -0.3551 0.5026
C -0.5278 -0.1603 0.1937
N 0.3186 -0.9340 -0.4339
C 1.5431 -0.2737 -0.7365
C 1.4087 1.0448 -0.0247
O 0.0397 1.0044 0.5261
H -2.1728 -0.1245 1.5561
H -2.2655 -1.3859 0.3041
H -2.5831 0.3234 -0.0998
H 2.3961 -0.9202 -0.5516
H 0.2592 -1.3479 -1.3605
H 1.4566 1.9207 -0.6903
H 2.0946 1.2083 0.8147


No. 2
110
Properties=species:S:1:pos:R:3 method="wB97M-V/def2-TZVPD" s_squared=6.001 e_lumo_ha="-0.2284 / -0.2294" homo_lumo_gap_ev="3.417 / 9.773" charge=+3 homo_energy_ev="-9.6 / -16.0" multiplicity=5
Ti -0.4558 -0.1729 -4.5065
C 0.9791 0.7724 -0.4702
C 0.4460 0.5346 -1.9376
O -0.4731 -0.2964 -2.1366
O 1.1382 1.0744 -2.7984
H 0.9567 -0.1351 0.1333
H 0.5079 1.6884 -0.1138
H 2.0422 1.0125 -0.4891
C -0.2872 -4.5499 1.2665
C -0.5153 -4.7694 -0.2262
N 0.7261 -4.7066 -1.1620
C 1.9226 -5.3414 -0.4427
C 0.4596 -5.4607 -2.4520
C 0.3460 -6.9918 -2.2661
C 1.0438 -3.1791 -1.3591
C 2.1724 -2.8502 -2.2217
O 3.5213 -3.0822 -1.8139
C 4.0014 -2.2616 -0.7215
H 0.0219 -3.5521 1.5779
H 0.3137 -5.3469 1.7045
H -1.2982 -4.5783 1.6728
H -1.3324 -4.1221 -0.5450
H -1.0664 -5.7092 -0.2604
H 2.7728 -5.4890 -1.1087
H 1.7646 -6.3730 -0.1279
H 2.3111 -4.6428 0.2983
H 1.3445 -5.2272 -3.0441
H -0.4944 -5.0427 -2.7733
H -0.2391 -7.1779 -1.3655
H 1.3526 -7.4009 -2.1801
H -0.1634 -7.4784 -3.0979
H 1.0552 -2.6984 -0.3809
H 0.1473 -2.8094 -1.8568
H 1.9859 -1.7848 -2.3570
H 2.2787 -3.1186 -3.2727
H 3.8000 -1.2018 -0.8771
H 5.0890 -2.1925 -0.7415
H 3.7646 -2.5608 0.2995
C -2.8533 -0.5111 0.9498
C -2.5917 -1.6830 1.9075
N -2.2192 -1.2484 3.3416
C -1.6716 -2.5113 4.0902
C -0.9697 -0.3404 3.2495
C -0.5119 0.1242 4.6148
C -3.3864 -0.5637 4.0934
C -4.8176 -1.1866 3.8911
O -4.6939 -2.5287 4.3293
C -5.9600 -3.1983 4.3751
H -1.9692 -0.2448 0.3706
H -3.0879 0.3968 1.5055
H -3.7242 -0.6802 0.3165
H -1.7843 -2.2645 1.4625
H -3.3256 -2.4732 2.0651
H -2.3900 -3.3310 4.0981
H -1.4209 -2.3917 5.1442
H -0.7872 -2.9798 3.6584
H -1.2169 0.4964 2.5963
H -0.2168 -0.9601 2.7624
H 0.4901 0.5444 4.5275
H -0.3132 -0.7475 5.2383
H -1.2045 0.7634 5.1623
H -3.4785 0.4430 3.6859
H -3.2142 -0.5562 5.1697
H -4.9719 -1.1762 2.8121
H -5.4752 -0.4922 4.4140
H -6.4532 -3.0734 3.4112
H -6.6908 -2.8275 5.0939
H -5.7524 -4.2192 4.6957
C -4.5607 3.4560 -1.5945
N -3.0607 3.5686 -1.5314
C -2.8362 4.8695 -0.7955
C -2.5416 2.5089 -0.5252
C -2.4337 3.5190 -2.9428
C -0.9872 3.8050 -3.0115
O -0.7568 5.1702 -2.6685
H -5.0361 4.2784 -2.1291
H -5.0473 3.4590 -0.6192
H -4.9075 2.4863 -1.9516
H -3.4268 5.1734 0.0688
H -2.9753 5.7133 -1.4714
H -1.7769 4.8920 -0.5396
H -3.0331 2.7049 0.4278
H -1.4830 2.6832 -0.3328
H -2.6336 1.4354 -0.6899
H -2.9576 4.1277 -3.6798
H -2.6009 2.5314 -3.3729
H -0.7140 3.4975 -4.0209
H -0.3259 3.1884 -2.4027
H 0.0442 5.5513 -3.0358
C 5.3229 3.3284 0.0657
N 5.0059 4.5794 -0.7530
C 3.6278 5.1438 -0.2188
C 6.1716 5.5462 -0.5344
C 4.9808 4.2180 -2.2793
C 3.7771 3.3399 -2.7030
O 3.9119 1.9619 -2.3404
H 5.5451 3.6177 1.0929
H 6.0382 2.6905 -0.4535
H 4.3405 2.8566 0.0446
H 3.6847 5.4453 0.8272
H 2.7185 4.6524 -0.5650
H 3.6228 6.0777 -0.7809
H 7.0507 5.0222 -0.9095
H 6.3530 5.6615 0.5342
H 5.9639 6.4981 -1.0231
H 5.9219 3.6907 -2.4357
H 5.0620 5.1879 -2.7700
H 3.8182 3.2300 -3.7866
H 2.7795 3.7649 -2.5925
H 3.0762 1.5103 -2.4793


No. 3
31
Properties=species:S:1:pos:R:3 method="wB97M-V/def2-TZVPD" smiles="CCOCC[C@@H]1OS(=O)(=O)O[C@@H]1OCC" de_lowest_kj_mol=0.00 e_lumo_ha=0.0233 homo_lumo_gap_ev=10.360 charge=0 homo_energy_ev=-9.7
C -1.4951 3.0894 0.0373
C -1.8516 2.2464 1.2596
O -2.4128 0.9889 0.9414
C -1.5690 0.1403 0.1843
C -1.4614 -1.2327 0.8806
C -0.0473 -1.6413 1.2396
O 0.4719 -0.6433 2.1378
S 2.0085 -0.3705 1.8802
O 2.2635 1.0154 1.9814
O 2.7790 -1.3240 2.5959
O 1.9865 -0.7704 0.3435
C 0.9606 -1.7411 0.0637
O 0.3516 -1.4566 -1.1255
C 1.2080 -1.5189 -2.2666
C 1.6602 -0.1319 -2.7050
~~~

What to do
Write out the lines further up from the one with "1.7045" to the one with "2.7624" character by character.

Completed
H 0.3137 -5.3469 1.7045
H -1.2982 -4.5783 1.6728
H -1.3324 -4.1221 -0.5450
H -1.0664 -5.7092 -0.2604
H 2.7728 -5.4890 -1.1087
H 1.7646 -6.3730 -0.1279
H 2.3111 -4.6428 0.2983
H 1.3445 -5.2272 -3.0441
H -0.4944 -5.0427 -2.7733
H -0.2391 -7.1779 -1.3655
H 1.3526 -7.4009 -2.1801
H -0.1634 -7.4784 -3.0979
H 1.0552 -2.6984 -0.3809
H 0.1473 -2.8094 -1.8568
H 1.9859 -1.7848 -2.3570
H 2.2787 -3.1186 -3.2727
H 3.8000 -1.2018 -0.8771
H 5.0890 -2.1925 -0.7415
H 3.7646 -2.5608 0.2995
C -2.8533 -0.5111 0.9498
C -2.5917 -1.6830 1.9075
N -2.2192 -1.2484 3.3416
C -1.6716 -2.5113 4.0902
C -0.9697 -0.3404 3.2495
C -0.5119 0.1242 4.6148
C -3.3864 -0.5637 4.0934
C -4.8176 -1.1866 3.8911
O -4.6939 -2.5287 4.3293
C -5.9600 -3.1983 4.3751
H -1.9692 -0.2448 0.3706
H -3.0879 0.3968 1.5055
H -3.7242 -0.6802 0.3165
H -1.7843 -2.2645 1.4625
H -3.3256 -2.4732 2.0651
H -2.3900 -3.3310 4.0981
H -1.4209 -2.3917 5.1442
H -0.7872 -2.9798 3.6584
H -1.2169 0.4964 2.5963
H -0.2168 -0.9601 2.7624